Source >
<<<
Entry from Alexandria via LeMat-Bulk: an optimized crystal structure of NaPuGaO6 (PBE-GGA).

Geometry as CIF:
```
data_NaPuGaO6
_cell_length_a 5.290
_cell_length_b 5.290
_cell_length_c 5.219
_cell_angle_alpha 90.00
_cell_angle_beta 90.00
_cell_angle_gamma 120.00
_symmetry_space_group_name_H-M 'P 1'
_symmetry_Int_Tables_number 1
_symmetry_space_group_name_Hall 'P 1'
loop_
_atom_site_label
_atom_site_fract_x
_atom_site_fract_y
_atom_site_fract_z
_atom_site_occupancy
Na1 0.000 0.000 0.000 1
Pu1 0.667 0.333 0.500 1
Ga1 0.333 0.667 0.500 1
O1 0.370 0.004 0.292 1
O2 0.370 0.367 0.708 1
O3 0.633 0.004 0.708 1
O4 0.633 0.630 0.292 1
O5 0.996 0.367 0.292 1
O6 0.996 0.630 0.708 1
```

Output
Crystal system: trigonal
Formation energy without anion corrections: -1809 meV/atom
M_tot: 0.000 μB/atom

----------

BaIrF, optimized geometry, DFT PBE; Fermi-level density of states = 0.0 states/eV per cell; energy = -29.29 eV per cell; uncorrected formation energy = -0.66 eV/atom
1.0
4.1156 -2.3761 0.0000
0.0000 4.7523 0.0000
0.0000 0.0000 8.2384
F Ba Ir
2 2 2
Cartesian
0.0000 0.0000 2.0596 F
0.0000 0.0000 6.1788 F
1.3719 2.3761 2.0596 Ba
2.7437 0.0000 6.1788 Ba
0.0000 0.0000 4.1192 Ir
0.0000 0.0000 0.0000 Ir


TbPr3Dy2S6, optimized geometry, DFT PBE; Fermi-level density of states = 5.2 states/eV per cell; energy = -77.16 eV per cell; uncorrected formation energy = -2.02 eV/atom
1.0
-2.9259 3.0544 -5.4452
-2.2342 -6.1659 2.1285
-2.6552 4.0177 5.1337
Pr S Tb Dy
3 6 1 2
Cartesian
-3.9076 0.4531 0.9085 Pr
-3.6767 -2.6252 3.4371 Pr
-4.1385 3.5314 -1.6201 Pr
-1.9928 1.7135 -0.8877 S
-5.8224 -0.8073 2.7047 S
-1.7614 -1.3718 1.6466 S
-6.0539 2.2780 0.1704 S
-3.3698 2.2863 3.0911 S
-4.4455 -1.3801 -1.2741 S
0.0000 0.0000 0.0000 Tb
-2.6953 -0.0197 -2.9202 Dy
-2.4648 -3.0919 -0.3966 Dy


CrCdSi, optimized geometry, DFT PBE; Fermi-level density of states = 1.3 states/eV per cell; energy = -14.93 eV per cell; uncorrected formation energy = 0.34 eV/atom
1.0
-1.8887 2.9151 -2.5923
-1.2158 -1.1269 -4.0046
-4.2097 -0.3637 -0.9650
Cr Si Cd
1 1 1
Cartesian
-3.6571 0.7123 -3.7810 Cr
-5.4857 1.0684 -5.6714 Si
0.0000 0.0000 0.0000 Cd


La5Zn4Br, optimized geometry, DFT PBE; Fermi-level density of states = 10.2 states/eV per cell; energy = -36.20 eV per cell; uncorrected formation energy = -0.48 eV/atom
1.0
3.7424 0.0000 0.0000
0.0000 3.7424 0.0000
0.0000 0.0000 19.2393
Zn La Br
4 5 1
Cartesian
0.0000 0.0000 11.5333 Zn
0.0000 0.0000 3.9926 Zn
0.0000 0.0000 15.2467 Zn
0.0000 0.0000 7.7060 Zn
1.8712 1.8712 13.3918 La
1.8712 1.8712 9.6197 La
1.8712 1.8712 2.1437 La
1.8712 1.8712 5.8475 La
1.8712 1.8712 17.0956 La
0.0000 0.0000 0.0000 Br


Na4ThHg5, optimized geometry, DFT PBE; Fermi-level density of states = 5.4 states/eV per cell; E_form = -0.223 eV per atom; energy = -16.44 eV per cell
1.0
3.6844 0.0000 0.0000
0.0000 3.6844 0.0000
0.0000 0.0000 19.3634
Hg Na Th
5 4 1
Cartesian
1.8422 1.8422 17.3253 Hg
1.8422 1.8422 5.9148 Hg
1.8422 1.8422 2.0381 Hg
1.8422 1.8422 9.6817 Hg
1.8422 1.8422 13.4486 Hg
0.0000 0.0000 15.4055 Na
0.0000 0.0000 7.7946 Na
0.0000 0.0000 3.9579 Na
0.0000 0.0000 11.5688 Na
0.0000 0.0000 0.0000 Th


RbTc3Hg, optimized geometry, DFT PBE; Fermi-level density of states = 2.6 states/eV per cell; E_form = 2.298 eV per atom; energy = -20.88 eV per cell
1.0
-5.1441 0.1077 1.1951
1.1757 -0.6003 5.1145
0.2401 5.2468 0.5606
Tc Rb Hg
3 1 1
Cartesian
0.5878 -0.3002 2.5573 Tc
0.1200 2.6234 0.2803 Tc
-2.5720 0.0538 0.5975 Tc
-1.8642 2.3771 3.4351 Rb
0.0000 0.0000 0.0000 Hg


TmU2SiC4, optimized geometry, DFT PBE; Fermi-level density of states = 11.8 states/eV per cell; energy = -140.66 eV per cell; uncorrected formation energy = -0.12 eV/atom
1.0
3.4906 0.0000 0.0000
-1.7453 5.6129 0.0000
0.0000 0.0000 11.6102
C U Tm Si
8 4 2 2
Cartesian
0.0000 0.0000 5.8051 C
1.7453 0.7779 2.9026 C
0.0000 4.8351 8.7077 C
1.7453 2.6401 10.1595 C
1.7453 2.6401 7.2559 C
0.0000 2.9728 4.3544 C
0.0000 2.9728 1.4508 C
0.0000 0.0000 0.0000 C
1.7453 1.4455 0.5915 U
>>>

Work order >
Please start at the top of the material earlier on and copy each line, ending with the one that has "5.9148 Hg".

Here it is >
Entry from Alexandria via LeMat-Bulk: an optimized crystal structure of NaPuGaO6 (PBE-GGA).

Geometry as CIF:
```
data_NaPuGaO6
_cell_length_a 5.290
_cell_length_b 5.290
_cell_length_c 5.219
_cell_angle_alpha 90.00
_cell_angle_beta 90.00
_cell_angle_gamma 120.00
_symmetry_space_group_name_H-M 'P 1'
_symmetry_Int_Tables_number 1
_symmetry_space_group_name_Hall 'P 1'
loop_
_atom_site_label
_atom_site_fract_x
_atom_site_fract_y
_atom_site_fract_z
_atom_site_occupancy
Na1 0.000 0.000 0.000 1
Pu1 0.667 0.333 0.500 1
Ga1 0.333 0.667 0.500 1
O1 0.370 0.004 0.292 1
O2 0.370 0.367 0.708 1
O3 0.633 0.004 0.708 1
O4 0.633 0.630 0.292 1
O5 0.996 0.367 0.292 1
O6 0.996 0.630 0.708 1
```

Output
Crystal system: trigonal
Formation energy without anion corrections: -1809 meV/atom
M_tot: 0.000 μB/atom

----------

BaIrF, optimized geometry, DFT PBE; Fermi-level density of states = 0.0 states/eV per cell; energy = -29.29 eV per cell; uncorrected formation energy = -0.66 eV/atom
1.0
4.1156 -2.3761 0.0000
0.0000 4.7523 0.0000
0.0000 0.0000 8.2384
F Ba Ir
2 2 2
Cartesian
0.0000 0.0000 2.0596 F
0.0000 0.0000 6.1788 F
1.3719 2.3761 2.0596 Ba
2.7437 0.0000 6.1788 Ba
0.0000 0.0000 4.1192 Ir
0.0000 0.0000 0.0000 Ir


TbPr3Dy2S6, optimized geometry, DFT PBE; Fermi-level density of states = 5.2 states/eV per cell; energy = -77.16 eV per cell; uncorrected formation energy = -2.02 eV/atom
1.0
-2.9259 3.0544 -5.4452
-2.2342 -6.1659 2.1285
-2.6552 4.0177 5.1337
Pr S Tb Dy
3 6 1 2
Cartesian
-3.9076 0.4531 0.9085 Pr
-3.6767 -2.6252 3.4371 Pr
-4.1385 3.5314 -1.6201 Pr
-1.9928 1.7135 -0.8877 S
-5.8224 -0.8073 2.7047 S
-1.7614 -1.3718 1.6466 S
-6.0539 2.2780 0.1704 S
-3.3698 2.2863 3.0911 S
-4.4455 -1.3801 -1.2741 S
0.0000 0.0000 0.0000 Tb
-2.6953 -0.0197 -2.9202 Dy
-2.4648 -3.0919 -0.3966 Dy


CrCdSi, optimized geometry, DFT PBE; Fermi-level density of states = 1.3 states/eV per cell; energy = -14.93 eV per cell; uncorrected formation energy = 0.34 eV/atom
1.0
-1.8887 2.9151 -2.5923
-1.2158 -1.1269 -4.0046
-4.2097 -0.3637 -0.9650
Cr Si Cd
1 1 1
Cartesian
-3.6571 0.7123 -3.7810 Cr
-5.4857 1.0684 -5.6714 Si
0.0000 0.0000 0.0000 Cd


La5Zn4Br, optimized geometry, DFT PBE; Fermi-level density of states = 10.2 states/eV per cell; energy = -36.20 eV per cell; uncorrected formation energy = -0.48 eV/atom
1.0
3.7424 0.0000 0.0000
0.0000 3.7424 0.0000
0.0000 0.0000 19.2393
Zn La Br
4 5 1
Cartesian
0.0000 0.0000 11.5333 Zn
0.0000 0.0000 3.9926 Zn
0.0000 0.0000 15.2467 Zn
0.0000 0.0000 7.7060 Zn
1.8712 1.8712 13.3918 La
1.8712 1.8712 9.6197 La
1.8712 1.8712 2.1437 La
1.8712 1.8712 5.8475 La
1.8712 1.8712 17.0956 La
0.0000 0.0000 0.0000 Br


Na4ThHg5, optimized geometry, DFT PBE; Fermi-level density of states = 5.4 states/eV per cell; E_form = -0.223 eV per atom; energy = -16.44 eV per cell
1.0
3.6844 0.0000 0.0000
0.0000 3.6844 0.0000
0.0000 0.0000 19.3634
Hg Na Th
5 4 1
Cartesian
1.8422 1.8422 17.3253 Hg
1.8422 1.8422 5.9148 Hg